New Horizons in iGaming: Unpacking Brazil's Latest Regulations

Through its Prizes and Betting Secretariat, Brazil's Ministry of Finance has recently introduced comprehensive guidelines to reshape online sports betting and gambling in the country. These new regulations prioritise consumer protection, information security, and data privacy, aiming to create a safer and more transparent environment. 

by Shenaly Amin | 22 May 2024
5-min read

Brazil's Ministry of Finance, through its Prizes and Betting Secretariat, has recently introduced comprehensive guidelines that are set to reshape the landscape of online sports betting and gambling in the country.

The new framework prioritises consumer protection, information security, and the safeguarding of personal data. This article delves into these changes, offering insights into the impact and implications for stakeholders in the sector.

Consumer protection - Advertising Restrictions

The journey to re-defining advertising regulations has been marked by numerous challenges, and the framework remains a contentious topic in the country. Sports betting adverts in Brazil will be subject to compliance with the ministry of finance. The process of monitoring gambling advertisements will be confirmed and implemented during stage three, which will conclude at the end of June.

The regulations will prohibit illegal operators from publishing gambling advertisements. They also ban any operators from making unverified claims about the odds of winning. Additionally, advertisements must not depict betting as socially acceptable or suggest that gambling can resolve financial issues. 

​​In February, it was confirmed that a ban on celebrities appearing in sports betting ads was to be debated in Brazil’s senate. Further to this move, the use of celebrities or public figures to endorse gambling will be forbidden.

Stricter Financial Transactions and Crypto Asset Prohibition

A key aspect of the new regulations is the strict oversight of financial transactions. All financial transactions - deposits, withdrawals, and prize distributions, must be conducted through electronic transfers using only financial institutions authorised by the Central Bank of Brazil.

Furthermore, the use of virtual or crypto assets for betting has been expressly prohibited. This decision underscores a cautious approach towards the volatile nature of digital currencies. As a result, bettors are required to use conventional payment methods such as Instant Payment (PIX), Electronic Transfer (TED), debit or prepaid cards, and book transfers within the same financial institution.

Computed X-ray powder pattern of Tb3Pm4Dy3 for Cu Kα, from a DFT-relaxed cell (GGA-PBE, Alexandria).
Neutral-atom scattering factors, no anomalous dispersion.

Structure:
Cell: 3.8042 13.1899 13.2010 Å, 90.00 90.00 90.00°
Space group Amm2 (No. 38)
Inequivalent atoms, fractional coordinates:
Tb 0.0000 0.0000 0.0000 x2
Tb 0.0000 0.1690 0.6690 x4
Pm 0.5000 0.0000 0.5385 x2
Pm 0.5000 0.0000 0.7995 x2
Pm 0.5000 0.1303 0.1691 x4
Dy 0.0000 0.0000 0.3380 x2
Dy 0.5000 0.2495 0.4190 x4

Top 10 peaks for 2θ = 10–90°, most intense first:
hkl	d [Å]	Rel. int.
1 1 3	2.811	100.0
0 4 2	2.950	88.5
0 8 0	1.649	23.2
2 4 2	1.599	22.2
2 0 0	1.903	19.1
1 7 3	1.577	18.7
0 4 0	3.298	15.3
0 4 4	2.332	13.2
1 5 3	1.945	13.1
0 4 10	1.225	8.3

=====

1.
For ErHf4N6, a crystal structure in Alexandria, relaxed with GGA-PBE gives the computed X-ray powder pattern in this record (Cu Ka).
Intensities are scaled so that the largest is 100.

Most intense lines, 10 to 90 degrees two-theta, by angle:
| two_theta | I (rel.) | index |
| --- | --- | --- |
| 31.47 | 34 | 1 1 2 |
| 32.25 | 100 | 0 2 5 |
| 33.82 | 83 | 0 4 0 |
| 38.56 | 14 | 1 3 1 |
| 39.78 | 34 | 1 3 2 |
| 41.75 | 28 | 1 3 3 |
| 54.27 | 19 | 1 1 8 |
| 54.74 | 14 | 1 5 3 |
| 59.47 | 15 | 0 6 5 |
| 68.19 | 24 | 2 2 5 |

Atomic structure:
```
data_ErHf4N6
_symmetry_space_group_name_H-M 'C m c m'
_symmetry_Int_Tables_number 63
_symmetry_space_group_name_Hall '-C 2c 2'
_cell_length_a 3.166
_cell_length_b 10.612
_cell_length_c 16.282
_cell_angle_alpha 90.00
_cell_angle_beta 90.00
_cell_angle_gamma 90.00
loop_
_atom_site_label
_atom_site_type_symbol
_atom_site_fract_x
_atom_site_fract_y
_atom_site_fract_z
Er1 Er 0.000 0.147 0.250
Hf1 Hf 0.000 0.107 0.638
Hf2 Hf 0.000 0.369 0.548
N1 N 0.000 0.000 0.000
N2 N 0.000 0.194 0.750
N3 N 0.000 0.271 0.082
N4 N 0.000 0.466 0.660
```

=====

2.
For ErHfNi, a crystal structure in Alexandria, relaxed with GGA-PBE gives the computed X-ray powder pattern in this record (Cu Ka).
Intensities are scaled so that the largest is 100.

Most intense lines, 10 to 90 degrees two-theta, by angle:
| two_theta | I (rel.) | index |
| --- | --- | --- |
| 10.45 | 12 | 0 0 3 |
| 27.64 | 100 | 1 0 4 |
| 37.12 | 82 | 0 1 8 |
| 41.74 | 72 | 1 1 0 |
| 50.79 | 19 | 0 2 4 |
| 57.07 | 24 | 2 0 8 |
| 61.27 | 23 | 1 1 12 |
| 67.77 | 17 | 2 1 4 |
| 73.15 | 22 | 1 2 8 |
| 76.19 | 12 | 3 0 0 |

Atomic structure:
```
data_ErHfNi
_symmetry_space_group_name_H-M 'R -3 m'
_symmetry_Int_Tables_number 166
_symmetry_space_group_name_Hall '-R 3 2"'
_cell_length_a 4.3284
_cell_length_b 4.3284
_cell_length_c 25.3914
_cell_angle_alpha 90.00
_cell_angle_beta 90.00
_cell_angle_gamma 120.00
loop_
_atom_site_label
_atom_site_type_symbol
_atom_site_fract_x
_atom_site_fract_y
_atom_site_fract_z
Er1 Er 0.0000 0.0000 0.1188
Hf1 Hf 0.0000 0.0000 0.3691
Ni1 Ni 0.0000 0.0000 0.2668
```

=====

3.
For ErHfSbO6, a crystal structure in Alexandria, relaxed with GGA-PBE gives the computed X-ray powder pattern in this record (Cu Ka).

No Bonuses Policy

In an effort to curb excessive gambling and maintain integrity within the betting ecosystem, the provision of bonuses for betting has been banned. This rule prevents operator agents from distributing any form of bonuses to bettors, whether for promotional, advertising, or propaganda purposes.

This measure aims to limit incentivized betting and ensure a more responsible gambling environment.

Enhanced Protection for Bettors' Funds

The new guidelines mandate that the financial accounts of betting operators must be kept separate from the funds of the bettors. This separation is critical in ensuring that bettors' money is not used as collateral or for settling the operator’s debts.

Additionally, bettors are entitled to a clear and transparent view of their financial standing through a virtual "graphical account," which tracks all transactions, including deposits, withdrawals, prizes, and bets.

Rapid Access to Funds and Financial Reserves

The new rules aim to enhance consumer protection by stipulating that bettors must be able to access their funds within 120 minutes of making a withdrawal request. Additionally, to safeguard against potential insolvency, betting operators are required to maintain a substantial financial reserve of R$ 5,000,000.00 in a Central Bank of Brazil.

This reserve must be completely segregated from the operator’s operational accounts.

Temporary Leniency for Payment Transactions

In a transitional provision, the SPA/MF Ordinance grants payment methods a six-month period following its publication during which they can conduct bet transactions freely, without facing restrictions or penalties. This temporary measure is likely designed to allow for a smoother transition and adaptation to the new regulatory framework.

Enhanced Technical and Security Requirements for Betting Operators

As part of the new regulatory framework, there are stringent technical and security requirements that must be adhered to by operators. All operators of fixed-odds betting lotteries are required to have their betting systems and data centres located within Brazil or in countries that have an International Legal Cooperation Agreement.

These data centres must possess ISO 27001 certification, confirming their compliance with high-security standards. Additionally, to strengthen their national identity, operators' websites and digital platforms should be registered under the "" domain.

Certification and Supervision of Betting Systems

Operators must ensure that their betting systems, including those used for sports betting and online gaming, are certified by entities recognised by the SPA/MF. These certifications must remain valid for the duration of the licence and require annual reassessment to ensure ongoing compliance.

Within 90 days of receiving operating authorisation, operators are also obliged to submit an evaluation report, verifying their adherence to the regulations.

Regarding oversight, operators are expected to provide SPA/MF inspectors with complete access to their betting systems whenever needed. Additionally, they should routinely share detailed information about bets, bettors, and their operational practices, ensuring transparency and accountability.

Physical and Virtual Betting Terminals

With certified systems, operators can offer sports betting through physical terminals and online gaming via virtual platforms. All betting activities, whether through physical terminals or online, must incorporate identification procedures and comply with SPA/MF’s payment and regulatory standards.

Online Games and Their Regulation

Operators are permitted to offer online games where winnings are determined by a multiplier of the bet value set at the time the bet is placed. The outcome of each bet must be based on a random event, generated either by a random number generator or defined by game-specific symbols, figures, or objects.

Sanctions for Non-compliance

As of May 2, 2024, the SPA/MF have the legal authority to impose certain sanctions on operators who do not adhere to the regulations.These sanctions can include warnings, hefty fines up to BR$ 2,000,000,000.00 (two billion Reals), revocation of authorisation, and a ban on acquiring new permits for up to 10 years. 

Additionally, non-compliant operators may be prohibited from participating in bids related to the concession of public services within the federal public administration for a minimum of five years and could face bans on serving in any directorial or administrative capacities in any betting-related organisation for up to 20 years.

What happens next?

The regulation will continue to be rolled out in stages, prioritised as follows:

  • Stage one: rolled out by the end of April 2024 
  • Stage two: by the end of May 2024
  • Stage three: by the end of June 2024
  • Stage four: by the end of July 2024

In April,  regulations were issued detailing the technical, payment, and security requirements that operators must adhere to, alongside guidelines for applying for licences to operate fixed-odds betting.

In the second stage, the SPA will publish its policies on anti-money laundering and anti-terrorist financing. It will also issue regulations that operators must follow to ensure bettors' rights. 

Stage three will introduce the technical and security requirements for online gaming. This stage will also establish procedures for monitoring gambling advertising.

In the final stage, procedures for allocating industry contributions to socially responsible causes will be outlined.


As anticipated, the Ordinance aligns with a multidisciplinary approach seen in earlier ordinances, emphasising consumer protection, information security, and personal data protection. 

Operators now face a significant challenge of navigating regulations that extend beyond the Betting Law (Law 14,790/2023) and SPA/MF ordinances, requiring adherence to consumer and data protection laws. 

By effectively navigating these guidelines, operators can comply with the stringent regulations set by Brazilian authorities and also seize market opportunities in this vibrant and dynamic region.

by Shenaly Amin
22 May 2024

Shenaly heads the Marketing team at Rightlander.
